Recently I had an amazing reunion with my friends and mentors, Dwight Yoder and Steve Jordan, in Sanibel Island, FL. Our wives, Carolyn, Donna, and Anne joined us in this remarkable event. Steve and Dwight have been my friends and mentors my entire professional life.
-- Records of crystals that have nothing to do with the text --
# Ca2ReN3 | Materials Project | PBE-GGA | relaxed
data_Ca2ReN3
_symmetry_space_group_name_H-M 'P 1'
_symmetry_Int_Tables_number 1
_cell_length_a 6.065
_cell_length_b 6.065
_cell_length_c 12.348
_cell_angle_alpha 90.00
_cell_angle_beta 90.00
_cell_angle_gamma 124.95
loop_
_symmetry_equiv_pos_as_xyz
'x,y,z'
loop_
_atom_site_label
_atom_site_type_symbol
_atom_site_fract_x
_atom_site_fract_y
_atom_site_fract_z
Ca1 Ca 0.051 0.949 0.868
Ca2 Ca 0.141 0.859 0.419
Ca3 Ca 0.359 0.641 0.919
Ca4 Ca 0.449 0.551 0.368
Ca5 Ca 0.551 0.449 0.632
Ca6 Ca 0.641 0.359 0.081
Ca7 Ca 0.859 0.141 0.581
Ca8 Ca 0.949 0.051 0.132
Re1 Re 0.240 0.760 0.654
Re2 Re 0.260 0.740 0.154
Re3 Re 0.740 0.260 0.846
Re4 Re 0.760 0.240 0.346
N1 N 0.036 0.464 0.750
N2 N 0.072 0.928 0.624
N3 N 0.154 0.846 0.032
N4 N 0.346 0.654 0.532
N5 N 0.428 0.572 0.124
N6 N 0.464 0.036 0.250
N7 N 0.536 0.964 0.750
N8 N 0.572 0.428 0.876
N9 N 0.654 0.346 0.468
N10 N 0.846 0.154 0.968
N11 N 0.928 0.072 0.376
N12 N 0.964 0.536 0.250
# - Raw total energy: -7.564 eV/atom
# - Formation energy: -834 meV/atom
# - Spin magnetization: 0.000 μB/f.u.

* * * * *

Computed, not measured: a geometry-optimized UB2Ru3 structure at the meta-GGA r2SCAN level of DFT.

a b c (Å): 5.478 5.478 2.983
angles (deg): 90.00 90.00 120.00
Fractional positions:
U (0.000, 0.000, 0.000)
B (0.333, 0.667, 0.000)
B (0.667, 0.333, 0.000)
Ru (0.000, 0.500, 0.500)
Ru (0.500, 0.000, 0.500)
Ru (0.500, 0.500, 0.500)

Summary:
The density is 12.06 g/cm3. The total energy is -29.02 eV per atom. For the calculated formation energy, the calculation gives -539 meV per atom. Its space group is No. 191.

* * * * *

No. 1
Computed, not measured: a geometry-optimized B5H4 structure at the PBE-GGA level of DFT.

Summary:
The formation energy from the elements comes out at 0.173 eV/atom. The symmetry is I4_1/acd, No. 142.

a b c (Å): 18.3368 18.3368 18.3368
angles (deg): 136.79 136.79 62.76
Fractional coordinates of all 144 atoms:
1 B 0.0060 0.9822 0.4396
2 B 0.0184 0.1700 0.1028
3 B 0.0178 0.9573 0.0238
4 B 0.0255 0.8922 0.0560
5 B 0.0305 0.9745 0.3667
6 B 0.0379 0.4023 0.4417
7 B 0.0394 0.0977 0.1356
8 B 0.0390 0.3501 0.9765
9 B 0.0427 0.5664 0.0604
10 B 0.0626 0.0390 0.1890
11 B 0.0664 0.5427 0.5604
12 B 0.0673 0.6700 0.6516
13 B 0.0843 0.9816 0.6516
14 B 0.0962 0.9606 0.5583
15 B 0.0977 0.4621 0.0583
16 B 0.1078 0.6638 0.1333
17 B 0.1264 0.9374 0.4765
18 B 0.1499 0.4610 0.5235
19 B 0.1638 0.6078 0.6333
20 B 0.1700 0.5673 0.1516
21 B 0.3300 0.4816 0.3972
22 B 0.3362 0.9695 0.4440
23 B 0.3501 0.8736 0.3110
24 B 0.3736 0.8501 0.8110
25 B 0.3922 0.5255 0.5560
26 B 0.4023 0.4606 0.3644
27 B 0.4038 0.9621 0.8644
28 B 0.4157 0.0673 0.8972
29 B 0.4327 0.0843 0.6028
30 B 0.4336 0.9940 0.4762
31 B 0.4374 0.6264 0.9765
32 B 0.4573 0.5178 0.5238
33 B 0.4610 0.4374 0.3110
34 B 0.4606 0.5962 0.0583
35 B 0.4621 0.9038 0.3644
36 B 0.4695 0.8362 0.9440
37 B 0.4745 0.5305 0.8667
38 B 0.4822 0.5060 0.9396
39 B 0.4816 0.5843 0.1516
40 B 0.4940 0.9336 0.9762
In 1977 Steve and his business partners, Mike Apostal and Chuck Ritter, founded Jordan, Apostal, Ritter Associates Engineering Mechanics Consultants in Davisville, RI. JAR began to do engineering mechanics consulting for the AMOCO Research Center in Tulsa, OK. JAR and AMOCO were two of the first companies to utilize the finite element method to model the lower part of the drill string, called the bottom hole assembly, to predict directional drilling for the oil and gas industry. JAR’s work with AMOCO led to Steve, Mike and Chuck creating Drilling Resources Development Corporation in Tulsa, now DRD Technology, to work with AMOCO to develop a drilling simulator to model the entire drilling process in real time. Steve hired Dwight and me in 1981 to join DRD, and our work with AMOCO led to software development for other oil and gas companies. Ultimately DRD developed its own commercial suite of software tools for the oil and gas industry, Wellplan™, which we sold worldwide.
Because of a relationship with John Swanson, founder of Ansys, JAR and Drilling Resources Development Corporation became Ansys Support Distributors in 1984. JAR later became Ansys East in the 1990’s. Steve, Mike and Chuck also founded Concurrent Engineering Corporation in Minneapolis, MN in the 1990’s, which later became Ansys Minneapolis. Earlier in his career Steve worked with several of the pioneers of the early finite element industry including Richard Gallagher of Bell Aerosystems, Cornell University and University of AZ; Richard MacNeal of MSC (NASTRAN); Pedro Marcal and Bob Melosh of MARC Analysis; and David Hibbitt of Hibbitt, Karlsson, and Sorenson, developer of ABAQUS. Steve offered me the opportunity to have a career in the field of engineering simulation, and he mentored me closely my first two decades at DRD.
These records of crystals were left in the entry by mistake:
+++
1.
Here is a relaxed Mn6BP crystal from the Materials Project database. Energies are from PBE.

Raw total energy = -69.53 eV/f.u.
Energy relative to the elements = -2.47 eV per formula unit
Calculated volume = 81.7 Å³/f.u.

abc: 4.2961 6.5872 6.4790
angles: 95.05 109.36 70.97
Last column: nearest neighbours and their distance in Å.
Sites, in units of the cell vectors:
Mn1 0.6567 0.3829 0.6807  2 B 2.21, 2 P 2.28-2.29, 2 Mn 2.35-2.43
Mn2 0.3589 0.6171 0.3193  2 B 2.21, 2 P 2.28-2.29, 2 Mn 2.35-2.43
Mn3 0.0159 0.3356 0.3892  2 B 2.20-2.22, 2 P 2.22-2.26, 1 Mn 2.42
Mn4 0.9623 0.6644 0.6108  2 B 2.20-2.22, 2 P 2.22-2.26, 1 Mn 2.42
Mn5 0.0670 0.3975 0.0407  2 B 2.14-2.34, 1 P 2.27
Mn6 0.4238 0.6025 0.9593  2 B 2.14-2.34, 1 P 2.27
Mn7 0.9733 0.9430 0.3840  1 B 2.21, 2 P 2.23-2.32, 3 Mn 2.35-2.47
Mn8 0.5324 0.0570 0.6160  1 B 2.21, 2 P 2.23-2.32, 3 Mn 2.35-2.47
Mn9 0.6826 0.1900 0.0174  1 B 2.16, 1 P 2.31, 1 Mn 2.38
Mn10 0.8551 0.8100 0.9826  1 B 2.16, 1 P 2.31, 1 Mn 2.38
Mn11 0.3447 0.9612 0.1840  1 B 2.23, 3 Mn 2.29-2.48, 1 P 2.33
Mn12 0.1219 0.0388 0.8160  1 B 2.23, 3 Mn 2.29-2.48, 1 P 2.33
B1 0.2158 0.3365 0.7517  9 Mn 2.14-2.34
B2 0.8006 0.6635 0.2483  9 Mn 2.14-2.34
P1 0.5366 0.2503 0.3344  9 Mn 2.22-2.33
P2 0.4524 0.7497 0.6656  9 Mn 2.22-2.33

2.
Here is a relaxed Rb2U3P6O25 crystal from the Materials Project database. Energies are from PBE.

Raw total energy = -283.07 eV/f.u.
Energy relative to the elements = -108.24 eV per formula unit
Calculated volume = 573.6 Å³/f.u.

abc: 16.6834 6.8993 20.1183
angles: 82.21 90.00 90.00
Last column: nearest neighbours and their distance in Å.
Sites, in units of the cell vectors:
Rb1 0.0773 0.2425 0.8693  7 O 3.03-3.35
Rb2 0.5773 0.7575 0.6307  7 O 3.03-3.35
Rb3 0.9227 0.7575 0.1307  7 O 3.03-3.35
Rb4 0.4227 0.2425 0.3693  7 O 3.03-3.35
Rb5 0.0687 0.3483 0.6204  6 O 2.95-3.27
Rb6 0.5687 0.6517 0.8796  6 O 2.95-3.27
Rb7 0.9313 0.6517 0.3796  6 O 2.95-3.27
Rb8 0.4313 0.3483 0.1204  6 O 2.95-3.27
U1 0.1652 0.7958 0.7479  2 O 1.81-1.82
U2 0.6652 0.2042 0.7521  2 O 1.81-1.82
U3 0.8348 0.2042 0.2521  2 O 1.81-1.82
U4 0.3348 0.7958 0.2479  2 O 1.81-1.82
U5 0.8839 0.6134 0.9021  2 O 1.80
U6 0.3839 0.3866 0.5979  2 O 1.80
U7 0.1161 0.3866 0.0979  2 O 1.80
U8 0.6161 0.6134 0.4021  2 O 1.80
U9 0.8920 0.7832 0.6013  2 O 1.81
U10 0.3920 0.2168 0.8987  2 O 1.81
U11 0.1080 0.2168 0.3987  2 O 1.81
U12 0.6080 0.7832 0.1013  2 O 1.81
P1 0.8592 0.3042 0.5407  4 O 1.50-1.63
P2 0.3592 0.6958 0.9593  4 O 1.50-1.63
P3 0.1408 0.6958 0.4593  4 O 1.50-1.63
P4 0.6408 0.3042 0.0407  4 O 1.50-1.63
P5 0.1802 0.6653 0.9311  4 O 1.49-1.62
P6 0.6802 0.3347 0.5689  4 O 1.49-1.62
P7 0.8198 0.3347 0.0689  4 O 1.49-1.62
P8 0.3199 0.6653 0.4311  4 O 1.49-1.62
P9 0.1758 0.9468 0.5594  4 O 1.50-1.62
P10 0.6758 0.0532 0.9406  4 O 1.50-1.62
P11 0.8242 0.0532 0.4406  4 O 1.50-1.62
P12 0.3242 0.9468 0.0594  4 O 1.50-1.62
P13 0.8558 0.0774 0.9694  4 O 1.50-1.64
P14 0.3558 0.9226 0.5306  4 O 1.50-1.64
P15 0.1442 0.9226 0.0306  4 O 1.50-1.64
+++
Dwight has also been my friend and mentor my entire career. In 1995 DRD sold Wellplan to Landmark Graphics, a division of Halliburton. Dwight and I were colleagues at DRD until 1995 when Dwight left DRD to become a Vice President at Landmark Graphics. Dwight later returned to work at DRD before leaving DRD a second time to pursue other interests. Dwight remains a minority owner of DRD. Dwight and Carolyn are god parents to Anne’s and my daughters, Renee and Morgan.
This Sanibel reunion was the first in-person one for Dwight, Steve, and me in 26 years, and the experience was as if we had never been apart. What a reunion!